Aansluiting MNP-instrumentarium bij de Vogel- en Habitatrichtlijn
Series / Report no.
RIVM Rapport 550018001
Open Access
Research Projects
Organizational Units
Journal Issue
Aansluiting MNP-instrumentarium bij de Vogel- en
=====
A plane-wave DFT calculation with GGA-PBE was carried out for a relaxed SmPb6S8 crystal.

Cell lengths 7.583, 7.583, 7.583 Å; angles 95.73, 95.73, 95.73 degrees
Fractional positions:
Pb 0.337 0.609 0.112
Pb 0.609 0.112 0.337
Pb 0.391 0.888 0.663
Pb 0.663 0.391 0.888
Pb 0.112 0.337 0.609
Pb 0.888 0.663 0.391
S 0.110 0.701 0.796
S 0.890 0.299 0.204
S 0.386 0.386 0.386
S 0.299 0.204 0.890
S 0.701 0.796 0.110
S 0.614 0.614 0.614
S 0.796 0.110 0.701
S 0.204 0.890 0.299
Sm 0.000 0.000 0.000

E_tot: -4.5929 eV per atom
Spin magnetization: 1.0 μB/cell
Formation energy without anion corrections: -0.59 eV per atom

---

A plane-wave DFT calculation with GGA-PBE was carried out for a relaxed Tm3BiSb2 crystal.

Cell lengths 7.557, 7.567, 7.567 Å; angles 119.96, 99.59, 99.59 degrees
Fractional positions:
Tm 0.998 0.157 0.328
Tm 0.500 0.000 0.500
Tm 0.498 0.328 0.157
Tm 0.000 0.500 0.000
Tm 0.502 0.672 0.843
Tm 0.002 0.843 0.672
Sb 0.750 0.748 0.252
Sb 0.250 0.916 0.084
Sb 0.750 0.084 0.916
Sb 0.250 0.252 0.748
Bi 0.750 0.418 0.582
Bi 0.250 0.582 0.418

E_tot: -5.2277 eV per atom
Spin magnetization: 0.0 μB/cell
Formation energy without anion corrections: -0.97 eV per atom

---

A plane-wave DFT calculation with GGA-PBE was carried out for a relaxed Ho5TlHg2 crystal.

Cell lengths 8.256, 8.256, 8.738 Å; angles 118.19, 118.19, 90.00 degrees
Fractional positions:
Hg 0.140 0.360 0.000
Hg 0.360 0.860 0.000
Hg 0.860 0.640 0.000
Hg 0.640 0.140 0.000
Ho 0.697 0.197 0.701
Ho 0.504 0.697 0.701
Ho 0.500 0.500 0.000
Ho 0.996 0.496 0.299
Ho 0.197 0.004 0.701
Ho 0.803 0.996 0.299
Ho 0.496 0.303 0.299
Ho 0.000 0.000 0.000
Ho 0.004 0.504 0.701
Ho 0.303 0.803 0.299
Tl 0.250 0.250 0.500
Tl 0.750 0.750 0.500

Energy of formation: -32 kJ/mol of atoms
E_tot: -3.5688 eV per atom
Spin magnetization: 0.0 μB/cell

---

A plane-wave DFT calculation with GGA-PBE was carried out for a relaxed NaInGa2Cl crystal.

Cell lengths 5.129, 6.292, 5.129 Å; angles 90.00, 90.00, 90.00 degrees
Fractional positions:
Ga 0.000 0.000 0.500
Ga 0.500 0.000 0.000
Na 0.000 0.500 0.000
In 0.000 0.000 0.000
Cl 0.500 0.500 0.500

E_tot: -2.3833 eV per atom
Spin magnetization: 0.0 μB/cell
Formation energy without anion corrections: 0.01 eV per atom

----------

Entry from Alexandria: Pa2B3C2 after structural relaxation (PBE).

Calculated total energy ... -60.7 eV/f.u.
Mass density ... 10.1 g/cm3
Crystal system ... monoclinic
V ... 85.4 Å³/f.u.
Formation energy from the elements ... -0.4603 eV/atom

Unit cell a=3.352 b=3.738 c=7.027 alpha=90.00 beta=103.94 gamma=90.00
Space group P2/m (No. 10)
Symmetry-distinct sites (fractional):
Pa 0.133 0.000 0.268 (multiplicity 2)
B 0.280 0.500 0.560 (multiplicity 2)
B 0.500 0.500 0.000 (multiplicity 1)
C 0.394 0.500 0.785 (multiplicity 2)
=====
[End of the records of crystals]
Translated Title
Setting up an information system related to the
European Bird and Habitat Directives
Published in
Dit rapport beschrijft de resultaten van onderzoek naar
het opzetten van een kennissysteem voor soorten- en gebiedenbeleid voor het
Milieu- en Natuurplanbureau (MNP). Het kennissysteem richt zich met name op
de doelstellingen uit de Europese Vogel- en Habitatrichtlijn. Uitgangspunt
van een prototype van het kennissysteem is het huidige ecologische
kennissysteem van het MNP, waarin graadmeter, meetnetten en modellen een
belangrijke rol spelen. Onderzocht is of het huidige kennissysteem voldoet
voor het doen van uitspraken over de VHR, welke knelpunten er zijn en hoe
deze opgelost kunnen worden. De verbeteringen vormen in samenhang met het
al bestaande instrumentarium het eerste prototype van het kennissysteem voor
de VHR. Naast uitleg van de diverse onderdelen van het kennissysteem worden
ook voorbeelden van toepassingen van dit kennissysteem beschreven. Het
prototype kennissysteem bevat informatie over (1) waar welke doelen gelden,
(2) waar welke soorten en habitats nu voorkomen (gemeten en/of statistisch
voorspeld), (3) wat de historische trends in mate van voorkomen van deze
soorten zijn (ofwel landelijk gemiddeld of wel gebiedsspecifiek) en (4) hoe
het voorkomen van soorten afhangt van ruimte- en/of milieudruk (in beeld
gebracht door directe en/of indirecte relaties met modeluitkomsten ofwel via
berekening van toelaatbare milieu- en/of ruimtedruk -c.q. "ecologische
vereisten"- in termen van minimaal habitatoppervlakte of maximaal
toelaatbare kritische depositie). Daarnaast is een methode ontwikkeld om de
invloeden van depositie op VHR-gebieden goed in beeld te
The Netherlands Environmental Assessment Agency (MNP-RIVM) has started research aimed at setting up an information system to support the national policy on species and nature areas. Given the political importance, this system was to be focused on information related to the goals set in the European Bird and Habitat Directives (B.H.Ds). At present, the information system contains: 1) specific aims for all individual Dutch Natura 2000 sites protected under the B.H.Ds, 2) spatial information on the presence of B.H.D. species and habitats, measured or derived by statistical models, 3) historical trends (national or site-specific) found in the occurrence of the species, 4) relationships between the occurrence of species and environmental stress or lack of space. The system is based on current ecological instruments used by MNP-RIVM: available monitoring networks, ecological and environmental modelling tools, and ecological indicators. The instruments to evaluate B.H.D. goals were examined for suitability: bottlenecks and their solutions were then identified. The definition of goals for the EU directives related to "favourable conservation status" and the "significance of effects" are still under discussion and thus not yet operational. Until operation, the information system will focus on the occurrence and distribution of the species and habitats under concern as indicated in a recent document of the European Commission, since the decline of these will have to be avoided. The improved tools, together with the current instruments, will form a new information system. Potential applications of such information system are also presented in this report.
The Netherlands Environmental Assessment Agency (MNP-RIVM) has started research aimed at setting up an information system to support the national policy on species and nature areas. Given the political importance, this system was to be focused on information related to the goals set in the European Bird and Habitat Directives (B.H.Ds). At present, the information system contains: 1) specific aims for all individual Dutch Natura 2000 sites protected under the B.H.Ds, 2) spatial information on the presence of B.H.D. species and habitats, measured or derived by statistical models, 3) historical trends (national or site-specific) found in the occurrence of the species, 4) relationships between the occurrence of species and environmental stress or lack of space. The system is based on current ecological instruments used by MNP-RIVM: available monitoring networks, ecological and environmental modelling tools, and ecological indicators. The instruments to evaluate B.H.D. goals were examined for suitability: bottlenecks and their solutions were then identified. The definition of goals for the EU directives related to "favourable conservation status" and the "significance of effects" are still under discussion and thus not yet operational. Until operation, the information system will focus on the occurrence and distribution of the species and habitats under concern as indicated in a recent document of the European Commission, since the decline of these will have to be avoided. The improved tools, together with the current instruments, will form a new information system. Potential applications of such information system are also presented in this report.